Soon enough, we reach the surface and my eyes widen in shock. I'm sure we're directly above the cave and that this place is hidden by mountains. But I didn't expect to see a sort of small city. The landscape was totally deceiving before. I feel the wind against my skin and a shiver runs down my spine. "It's getting cold," I say. "It usually does in the night." Sebastian says.

A few people wearing the same uniform as Galand look at us but soon continue about their work. A black truck stops near us and Galand turns to us. "Well, that's my queue. I have to deliver the vials before heading back to the borders.

• Misplaced materials data:
=====
CeNi9Ge4: optimized geometry, GGA-PBE.

Structure (CIF):
```
data_CeNi9Ge4
_chemical_formula_sum 'Ce4 Ni36 Ge16'
_cell_length_a 7.9434
_cell_length_b 7.9434
_cell_length_c 11.7002
_cell_angle_alpha 90.00
_cell_angle_beta 90.00
_cell_angle_gamma 90.00
_symmetry_space_group_name_H-M 'I 4/m c m'
_symmetry_Int_Tables_number 140
_symmetry_space_group_name_Hall '-I 4 2c'
loop_
_atom_site_label
_atom_site_type_symbol
_atom_site_fract_x
_atom_site_fract_y
_atom_site_fract_z
_atom_site_occupancy
Ce1 Ce 0.0000 0.0000 0.2500 1
Ni1 Ni 0.0000 0.5000 0.0000 1
Ni2 Ni 0.0662 0.2036 0.0000 1
Ni3 Ni 0.1228 0.3772 0.1813 1
Ge1 Ge 0.1757 0.3243 0.3778 1
```

Formation energy = -5.6 eV per formula unit
E = -0.215 hartree per atom

~~~~~

Record 1
Here is a geometry-optimized LiMnSiO4 structure from the Materials Project database. Energies are from GGA+U.

## Properties
volume = 608.5 Å³/cell
formation enthalpy at 0 K = -2.577 eV per atom
SG = P2_1/c (14)

Cell: 10.2839 5.7279 10.3300 Å, 89.40 90.00 90.00°
Last column: nearest neighbours and their distance in Å.
Sites, in units of the cell vectors:
Mn 0.8733 0.8453 0.5195  4 O 1.90-2.03
Mn 0.1267 0.1547 0.4805  4 O 1.90-2.03
Mn 0.4094 0.6379 0.7769  3 O 1.86-2.00
Mn 0.3733 0.1547 0.9805  4 O 1.90-2.03
Mn 0.0906 0.6379 0.2769  3 O 1.86-2.00
Mn 0.6267 0.8453 0.0195  4 O 1.90-2.03
Mn 0.9094 0.3621 0.7231  3 O 1.86-2.00
Mn 0.5906 0.3621 0.2231  3 O 1.86-2.00
O 0.2078 0.5821 0.4397  1 Si 1.64
O 0.9340 0.6197 0.3822  1 Si 1.67
O 0.2922 0.5821 0.9397  1 Si 1.64
O 0.6962 0.8843 0.1944  1 Si 1.67
O 0.0190 0.3634 0.1639  1 Si 1.65
O 0.8038 0.8843 0.6944  1 Si 1.67
O 0.2468 0.6734 0.7007  1 Si 1.60
O 0.5190 0.6366 0.3361  1 Si 1.65
O 0.5502 0.1469 0.9196  1 Si 1.64
O 0.8008 0.8823 0.9618  1 Si 1.66
O 0.7468 0.3266 0.7993  1 Si 1.60
O 0.7922 0.4179 0.5603  1 Si 1.64
O 0.2532 0.6734 0.2007  1 Si 1.60
O 0.9810 0.6366 0.8361  1 Si 1.65
O 0.1962 0.1157 0.3056  1 Si 1.67
O 0.4810 0.3634 0.6639  1 Si 1.65
O 0.0502 0.8531 0.5804  1 Si 1.64
O 0.5106 0.1074 0.3304  1 Si 1.66
O 0.4894 0.8926 0.6696  1 Si 1.66
O 0.7078 0.4179 0.0603  1 Si 1.64
O 0.4340 0.3803 0.1178  1 Si 1.67
O 0.5660 0.6197 0.8822  1 Si 1.67
O 0.9498 0.1469 0.4196  1 Si 1.64
O 0.6992 0.8823 0.4618  1 Si 1.66
O 0.7532 0.3266 0.2993  1 Si 1.60
O 0.1992 0.1177 0.0382  1 Si 1.66
O 0.0106 0.8926 0.1696  1 Si 1.66
O 0.9894 0.1074 0.8304  1 Si 1.66
O 0.3008 0.1177 0.5382  1 Si 1.66
O 0.3038 0.1157 0.8056  1 Si 1.67
O 0.4498 0.8531 0.0804  1 Si 1.64
O 0.0660 0.3803 0.6178  1 Si 1.67
Li 0.6599 0.1205 0.6479  3 O 2.06-2.20
Li 0.8401 0.1205 0.1479  3 O 2.06-2.20
Li 0.1599 0.8795 0.8521  3 O 2.06-2.20
Li 0.1278 0.3638 0.8959  4 O 2.15-2.25
Li 0.3401 0.8795 0.3521  3 O 2.06-2.20
Li 0.3722 0.3638 0.3959  4 O 2.15-2.25
Li 0.8722 0.6362 0.1041  4 O 2.15-2.25
Li 0.6278 0.6362 0.6041  4 O 2.15-2.25
Si 0.6475 0.3745 0.9155  4 O 1.60-1.67
Si 0.8525 0.3745 0.4155  4 O 1.60-1.67
Si 0.1074 0.1240 0.1702  4 O 1.65-1.67
Si 0.6074 0.8760 0.3298  4 O 1.65-1.67
=====

"Thanks for everything buddy, tell Armentia I said hi. She should be around seven months now right?"

"Yes." Galand replies with a big smile. "I still can't imagine you being a father." Sebastian laughs.

"Neither can I, Sebastian boy." Galand and Sebastian share one last handshake and we start walking. The buildings aren't that big; they look like they were built in a hurry. Most resemble houses or rather cabins. They are far apart and arranged in an almost circular manner. What surprises me is that there aren't a lot of them. 

I don't see another truck and most roads lead to the forests. We reach what looks like an open space where people who look to be my age begin staring at us. Most of them were practicing combat skills and martial arts before the saw us. 

"Is she new?" I hear someone murmur. "Sebastian is back," another says. Sebastian grabs my hand speeds up. The most significant building, which we're heading to, stands alone and is the tallest. We enter the building and take the elevator. 

Soon we reach two silver doors guarded by two men. Sebastian shows them an ID and they let us pass. "Cora, just stay behind me, you don't have to say anything." Sebastian says. I nod as we approach a man behind a desk table. "So, you finally decided to return." The man says. 

"It's not like I had much of a choice."

"And the specimen?"

"Galand will send them on their way." There seems to be tension as the man's cold grey eyes stare at Sebastian. "Let's hope Carter actually finds something useful this time around." The man directs his attention to me.

"Who is she?" I tense and try to take a step back but Sebastian holds me in place. Once again, my heart starts beating fast, his eyes look so familiar. "Her name is Cora, I found her in one of the ruined," Sebastian explains.

"Really? And you didn't think finding a human in a metamorphosis infected place was strange?" The man raises his eyebrow. "Not at all, Alistair." Sebastian shrugs. "This isn't a charity camp, Sebastian. Not just anyone can come to central."Alistair sighs. 

"But we can't just leave people who need our help. If we want to rebuild our world, we need every hand to work together." I can immediately that it's bullshit since he originally planned on leaving me. I resist the urge to roll my eyes.

"There you go with that quixotic nonsense again. Fine, do what you want. That will be all." He waves us off. Sebastian nods and turns around, dragging me with him. When we are in the hallway, I turn to Sebastian. "What was with the hostility and who the hell was that guy?" I want to at least know the big bosses of this place. "To answer your first question, that's how we always are. His name is Alistair, the current head of Central. You can think of him as some sort of president."

We go outside and he leads me to a house further away from the common area. Sebastian hands me the keys and stops at the door, "You have a housemate, her name is Blair but she's not here right now. If you need place is pretty far off so I guess you'll just have to wait for Blair." He says it with such a straight face that I can't tell if he's joking. In fact, he's entire personality perplexes me, how can one guy be so strange? 

"Um, thanks for everything. I don't know what I would have done if we didn't meet." I say looking up to him. "Whoa, so you had it in you to show appreciation." He smirks. Is this guy trying to pick a fight with me?

"You know, most people would just say 'you're welcome', especially those with manners." I say shrugging. "Are you saying I'm ill-mannered?" He asks raising a brow.

"You said that. Since I'm nice, I'll say it on your behalf," I say putting my hand to my chest, "Don't mention it. You're more than welcome, Cora." 

Sebastian bursts out in laughter. "I don't talk like that." He turns around to walk away. "But for all its worth, you're welcome even though I didn't do it for the right reasons." I shake my head while opening the front door. He just has to have the last word.

I decide to take a bath and as I relax in the tub, I can't help but think about everything that's happened so far. Where did the metamorphoses come from? How did Edmond Wesley control the situation so quickly? I feel myself drift off.


Darkness surrounded me as I stood in the dark alley. The sound of shouting and heavy boots was everywhere. "Cora, what are you waiting for? Let's go!" A sandy haired boy said to me. We ran through a narrow tunnel and reached a hidden door. We passed through and met a man in a black cloak. "We brought what you asked for," the boy said to the man. He handed the man a black briefcase and the man opened it. He removed a purple vial and looked over at us, "And the girl?"  "Cora is one of us, do you have something to say about it?" The boy said. "What are you going to use it for?" I asked. The man's blood red eyes stared at m. "You don't have to worry about that, thank you for the delivery." I felt a shiver run up my spine. "Ren, let's get going." I said to the boy. We quickly left the area and found ourselves in the Underground City. The people from the shadows stared at us as we passed through and entered a restaurant. We sat in the back and Ren ordered food. Out the window, I noticed a small boy get pushed around by bigger boys. They kicked and punched him all over before he fell to the ground. "Cora, are you okay with what I ordered?" Ren asked. But I wasn't listening, my attention was still on the small boy. My heart went out to him as I slightly frowned. "Cora? Cora...Cora?


I jolt up in surprise and realize I'm still in the bathtub. "Hey Cora, are you okay in there?" "What? Oh Sebastian, I'm okay? I question looking around the bathroom. "Sorry, you weren't responding so I thought I'd check up on you. I came to tell you something," he says from the other side of the door, "we're having a bonfire tonight, I set out some clothes for you to wear."

"Thanks, I'll be there soon," I reply. I hear the door close and sigh in relief. What a strange dream. On the bed farthest from the door I find blue denim shorts, a black shirt and sneakers. The room which is divided into two sides, each with a bed, is fairly spacious. Blair's side is crowded with all sorts of weapons. 

I'm really curious to see what kind of a girl she is to have such danger things hanging around. I mean, on her dressing mirror is a double- edged dagger. "Ha, interesting." I say to myself. Compared to Blair's side, mine is completely plain with nothing to show that someone will be sleeping there. There is absolutely no personality, reminding me of the absence of my memories. 

I get dressed and find Sebastian by the door. "You look nice." Sebastian says taking me aback. "Thank you." I reply in suspicion. Sebastian rolls his eyes and goes to open the front door. "Let's go, I want to introduce you to your new family." 


"Of course, I mean this is your new home right?" Sebastian answers casually. The words fail to form in my mouth, I suddenly feel nervous and scared. What if they don't like me? I probably won't have any place to go. What will I do then?

I feel the touch of a hand on my shoulder and look up to Sebastian. "Relax, it's going to be okay." That calms me down immediately and I nod. "Okay, I'll believe you."

When we get there, everyone is talking and laughing but they all stop the moment they spot Sebastian and I. I'm met by over fifty pairs of eyes, I really want to go back now. Sebastian clears his throat, "Good evening everyone." He grabs everyone's attention as he pushes me to the front, "This is Cora Aetós, our newest member. I hope everyone welcomes her warmly, you know it is times like this- Sebastian stops midway and sighs. "I really hate giving speeches," I hear him mutter and turn to him in surprise, is the guy being for real?

"You know what? Cora has joined has today, so like, be nice and all that." Even more surprising is that people actually clap for that sorry excuse of a speech. If I knew he would like this, I would have simply introduced myself. Anyway, everyone else seems okay with it. I guess he gets a free pass because of that face of his.

Two boys with black hair approach us. They must be twins. "No way Seb, long time no see!" The one with green eyes exclaims. "It's good to see you too Alex," he replies. The two boys turn to me. "Hello, my name is Cora." I say confidently.

"We know." The one with blue eyes says. The green-eyed boy breaks into a smile and walks up to me, "My name is Alexander and that cloud of darkness over there is Nicholas." He says pointing at the blue-eyed guy. "We're twins."

"I can see that," I say smiling. "So, it's almost impossible to survive out there. What's your story?" Alexander asks. "Cora will be joining our ranks tomorrow. That's all you need to know." Sebastian shrugs. "Whoa, I see you're still at the top of your game with those communication skills." Alex rolls his eyes.

"But before that, I want Nico to train her," Sebastian says ignoring the comment. Alexander looks shocked and Nicholas glares at Sebastian. "No."

"Listen, it won't even be for a long time, just until she learns how to handle herself." Sebastian says. "I'm perfectly capable of handling myself," I scoff.

"Yes, yes." He waves off. "If you really want to join Central, you have to." I sigh beyond irritated. Would it kill him to ask for my opinion? "My answer is still no. Tell Blair or something." Nicholas says. How cold, but whatever. It's not like it bother me.

"Blair is still on some mission, so it's got to be you." Sebastian replies. "Hey, what about me?" Alexander asks raising his hand. "Come on Nico, it can only be you." Sebastian pleads. Nicholas sighs, "Fine."

"Hey, are you guys ignoring me?" Alexander asks. I can tell this is how most of their conversions are. "Don't sulk too much, Cora. Nico is a great teacher." Sebastian says turning to me. Alexander clicks his tongue, "You guys are the worst." He casually swings his arm around my shoulder, "Let's get away from these assholes Cora. I'll introduce you to everyone." He does exactly that to the point that I can barely remember any of the names. Though unexpected, I end having a great time with everyone. I don't think I've ever laughed like this in my entire life. 

The sudden thought causes me to pause and feel uneasy. I decide to ignore it and instead focus on Alex's story. It's only a matter of time before people begin to withdraw to their homes.

When I go back to the house, I lay in bed and can't help but smile to myself. I want to stay with everyone like this, it seems so peaceful here. Nothing like that place. I try hard to think of that place, nothing comes to mind.

Was I perhaps in a bad place before coming here? But in the end, nothing comes up. My last thought is of the person who appeared in my dream….Ren.


Morning comes quicker than I expected and I groan as I roll over. I open my eyes and glare at the nuisance that is called Sebastian. "Finally, I was about to pour a bucket of cold water over your head." He says. "Why do I have to wake up so early? The sun's not even up completely." I say grumpily.

"Your training starts today and Nico is strict. I suggest you prepare yourself both physically and mentally. You have half an hour to get ready." He says walking out of the room. Mentally huh? How lovely. I take a shower and get dressed. Sebastian is preparing breakfast when I enter the kitchen. "So you can cook." I state. He looks taken off guard as he turns around to find me leaning by the counter.

A second passes and his normal blank stare is back. "Basic survival skill but I might be the best around." He says placing the plate on the table. "Confident, aren't we?" I roll my eyes. "As I should." He smirks. "You don't have a lot of friends, do you?" He doesn't answer my question but points at the table. I knew it. "We have a self proclaimed loner on our hands," I laugh as I take a seat.

"You sure do have many opinions for someone who has lost their memories." He says sitting down. "I lost my memories, it's not like I became an idiot who knows nothing." I say with my mouth stuffed.

We don't talk much until we reach the training grounds. The entire time I notice Sebastian stealing glances at me. "Do you have something to say to me?" I ask. 

"I'm not that great with people, so just know that I didn't mean any offence earlier."Sebastian says. Oh, I had completely forgotten about that. What a half baked apology but…..I'll take it. "Yes, yes. I know." I laugh. Before I know it, Nicholas is walking towards us.

"You're finally here."

"I'll leave her in your capable hands," Sebastian says. Nicholas nods in response and Sebastian leaves. "Good morning, Nicholas." I say enthusiastically. "I'm glad you have so much energy," he smirks. I tilt my head to the side in confusion.

I soon understand when he explains to me the plan for the day. "We'll be doing the basics of the basics today. You can start with running ten laps, then about forty pushups and sit-ups," he says, "after that I'll teach you some hand-to-hand combat. Sound good?"

"Are you crazy? This is what you call basics!?" I exclaim. "You have to be able to do at least this much, unless of course, you can't handle it." I see what he's trying to do what nevertheless I still fall for it. If it's a challenge he wants, then fine, I'll play along. "This is nothing."

[Unrelated to this text: data records]
+++
# 1
The following is a PBE with a Hubbard U calculation of an optimized crystal structure of ScMo3O8, from the Materials Project.

As for the volume: 141.9 Å³ per cell. The spin magnetization comes out at 1.0 μB per formula unit. For the formation energy, the calculation gives -2.23 eV per atom.

The space group is P1 (No. 1) and the conventional cell measures 4.906, 5.759 and 5.762 Å, with angles of 60.63, 89.82 and 89.86 degrees. The inequivalent atoms are Sc at (0.000, 0.000, 0.000), Mo at (0.519, 0.476, 0.476), Mo at (0.524, 0.022, 0.486), Mo at (0.524, 0.486, 0.021), O at (0.273, 0.162, 0.662), O at (0.273, 0.663, 0.161), O at (0.287, 0.162, 0.162), O at (0.321, 0.662, 0.662), O at (0.735, 0.332, 0.822), O at (0.736, 0.823, 0.332), O at (0.737, 0.828, 0.827) and O at (0.805, 0.318, 0.316).

=====

# 2
The following is a PBE with a Hubbard U calculation of an optimized crystal structure of ScMo3O8, from the Materials Project.

As for the volume: 303.8 Å³ per cell. The spin magnetization comes out at 1.0 μB per formula unit. For the formation energy, the calculation gives -2.15 eV per atom.

The space group is P6_3mc (No. 186) and the conventional cell measures 5.8610, 5.8610 and 10.2131 Å, with angles of 90.00, 90.00 and 120.00 degrees. The inequivalent atoms are Sc at (0.3333, 0.6667, 0.0000), Mo at (0.1511, 0.3023, 0.7446), O at (0.0000, 0.0000, 0.3822), O at (0.0314, 0.5157, 0.8542), O at (0.1686, 0.3372, 0.1297) and O at (0.3333, 0.6667, 0.6481).

=====

# 3
The following is a PBE with a Hubbard U calculation of an optimized crystal structure of ScMo3O8, from the Materials Project.

As for the volume: 149.4 Å³ per cell. The spin magnetization comes out at 5.0 μB per formula unit. For the formation energy, the calculation gives -2.28 eV per atom.

The space group is P-1 (No. 2) and the conventional cell measures 4.543, 6.106 and 6.112 Å, with angles of 118.20, 90.41 and 90.30 degrees. The inequivalent atoms are Sc at (0.000, 0.000, 0.000), Mo at (0.500, 0.000, 0.500), Mo at (0.500, 0.500, 0.000), Mo at (0.500, 0.500, 0.500), O at (0.261, 0.339, 0.176), O at (0.267, 0.845, 0.653), O at (0.270, 0.826, 0.165) and O at (0.276, 0.321, 0.650).

=====

| no. | ρ (g cm⁻³) |
| --- | --- |
| 1 | 5.393 |
| 2 | 5.036 |
| 3 | 5.121 |

~~~~~

1.
A plane-wave DFT calculation with PBE with a Hubbard U was carried out for crystalline TaCrO4 at its relaxed geometry.

Cell lengths 6.6727, 6.6727, 6.1134 Å; angles 90.00, 90.00, 90.00 degrees
Space group I4_1md (No. 109)
Inequivalent atoms, fractional coordinates:
1 Ta 0.0000 0.0000 0.0000 [4 per cell]
2 Cr 0.0000 0.0000 0.4900 [4 per cell]
3 O 0.0000 0.3027 0.4830 [8 per cell]
4 O 0.0000 0.3042 0.9923 [8 per cell]

- Crystal system: tetragonal
- Energy with MP2020 corrections: -236.0 eV per cell
- Piezoelectric modulus e_max: 0.5 C/m2
- Formation energy from the elements: -2.947 eV per atom

2.
+++

"That's the spirit." He says.

By the time I'm done, the only thing I can feel is my throat burning but everything else is pretty okay. Surprisingly I'm still standing. "Are…we…done yet?" I ask out of breath. "I'm surprised that you actually managed, take a break. We'll continue tomorrow, I've seen enough for today." Nicholas says handing me a bottle of water.

We sit by a nearby bench and I finally have the opportunity to ask questions. I turn towards Nicholas, "Can you tell me more about the camps?" He looks at me strangely, "Why do you want to know?"

"Please, Nicholas." It's easy to tell that he's wary of me and he hesitates for a minute. "There are four camps.  We have Rose in the north, Blaze in the west, Greenwood east and Carter in the south. There are other affiliations for those who don't like the camps. But they usually consist of small groups." The Rebellion must be a part of those affiliations. The strange term from my dream suddenly resurfaces and I blurt out my thoughts before thinking.

"What's the Underground City?" 

Nicholas looks shocked. "What's your relationship with that place?"

"I…I don't, I just remembered it. Is something wrong?" I ask concerned. "It's nothing, it's just that place, well the name speaks for itself. It's pretty shady and a place where information circulates the most." He replies. His words don't match his expression from earlier.

Was he shocked that someone randomly mentioned that place or is it because it's specifically me? I fail to decipher any meaning from his actions and find myself simply nodding my head. Nicholas clears his throat, "Let's head back."

We end up talking normally after brushing everything off. But even after returning to the house, his expression hangs fresh in my mind. There's something I must be missing.